Antarctic ice sheet history suggests role in rapid sea level rise

NEWS: New study suggests melting Antarctic ice sheet contributed to rapid sea level rise 15,000 years ago

New study suggests melting Antarctic ice sheet contributed to rapid sea level rise 15,000 years ago

(Pic: NOAA/Flickr)
(Pic: NOAA/Flickr)

By Gerard Wynn

The historical collapse of Antarctic ice sheets precisely coincided with periods of rapid sea level rise, showed new analysis published in the journal Nature.

The research showed that the giant Antarctic ice sheet had a history of sudden partial collapse, in fits and starts.

That may be a present warning, given a more than five-fold increase in annual Antarctic ice loss over the past two decades.

The exact, historical contribution of Antarctic ice sheets to sea level rise is still poorly understood, however.

• These data records were left in the entry by mistake:
********
1.
Calculated powder diffraction line list of PuSi2Pt2 for Cu Kα, 1.54184 Å, from a crystal structure in the Materials Project, relaxed with GGA-PBE.

The 10 most intense peaks (2θ = 10–90°), low angle first:
d/Å  I/Imax
2.845  54
2.590  77
2.545  100
2.101  64
1.786  26
1.632  39
1.486  22
1.438  23
1.361  21
1.283  24

Cell and atoms:
Cell lengths 4.202, 4.202, 9.864 Å; angles 90.00, 90.00, 90.00 degrees
Space group P4/nmm (No. 129, origin choice 2)
Inequivalent atoms, fractional coordinates:
Pu 0.250 0.250 0.245 (multiplicity 2)
Si 0.250 0.250 0.635 (multiplicity 2)
Si 0.250 0.750 0.000 (multiplicity 2)
Pt 0.250 0.250 0.876 (multiplicity 2)
Pt 0.250 0.750 0.500 (multiplicity 2)



2.
Calculated powder diffraction line list of Rb3Pt for Cu Kα, 1.54184 Å, from a crystal structure in the Materials Project, relaxed with GGA-PBE.

The 10 most intense peaks (2θ = 10–90°), low angle first:
d/Å  I/Imax
5.499  14
3.888  13
3.175  100
2.749  51
1.944  37
1.658  44
1.587  13
1.262  18
1.230  17
1.122  13

Cell and atoms:
Cell lengths 5.499, 5.499, 5.499 Å; angles 90.00, 90.00, 90.00 degrees
Space group Pm-3m (No. 221)
Inequivalent atoms, fractional coordinates:
Rb 0.000 0.000 0.500 (multiplicity 3)
Pt 0.500 0.500 0.500 (multiplicity 1)



3.
Calculated powder diffraction line list of RbPt2Se3 for Cu Kα, 1.54184 Å, from a crystal structure in the Materials Project, relaxed with GGA-PBE.

The 10 most intense peaks (2θ = 10–90°), low angle first:
d/Å  I/Imax
6.890  100
3.231  41
2.764  71
2.565  15
2.192  28
2.028  13
1.889  32
1.822  20
1.630  23
1.560  13

Cell and atoms:
Cell lengths 7.5556, 7.5556, 20.6700 Å; angles 90.00, 90.00, 120.00 degrees
Space group R-3m (No. 166, hexagonal axes)
Inequivalent atoms, fractional coordinates:
Rb 0.0000 0.0000 0.1995 (multiplicity 6)
Pt 0.0000 0.0000 0.0000 (multiplicity 3)
Pt 0.0000 0.5000 0.0000 (multiplicity 9)
Se 0.0088 0.5044 0.2740 (multiplicity 18)



4.
Calculated powder diffraction line list of Rb2PtSe2 for Cu Kα, 1.54184 Å, from a crystal structure in the Materials Project, relaxed with GGA-PBE.

The 10 most intense peaks (2θ = 10–90°), low angle first:
d/Å  I/Imax
6.171  80
5.169  41
3.145  75
2.865  71
2.631  100
2.585  25
1.972  54
1.924  32
1.646  51
1.642  22

Cell and atoms:
Cell lengths 3.850, 7.691, 10.338 Å; angles 90.00, 90.00, 90.00 degrees
Space group Immm (No. 71)
Inequivalent atoms, fractional coordinates:
Rb 0.000 0.000 0.198 (multiplicity 4)
Pt 0.000 0.500 0.000 (multiplicity 2)
Se 0.000 0.211 0.500 (multiplicity 4)



5.
Calculated powder diffraction line list of Rb2U6Pt4Se17 for Cu Kα, 1.54184 Å, from a crystal structure in the Materials Project, relaxed with GGA-PBE.

The 10 most intense peaks (2θ = 10–90°), low angle first:
d/Å  I/Imax
8.398  20
7.538  56
6.818  33
4.196  31
3.438  17
2.709  100
2.528  16
2.384  22
2.234  20
2.120  25

Cell and atoms:
Cell lengths 10.660, 10.660, 13.636 Å; angles 90.00, 90.00, 90.00 degrees
Space group P4/mnc (No. 128)
********

The latest research, published on Thursday, showed that the ice sheet produced more icebergs in a series of sudden bursts after the end of the last global glacial peak, around 20,000 years ago.

Their main scientific advance was to match some of those bursts precisely to known periods of rapid sea level rise.

They found that the fastest flow of Antarctic icebergs closely matched a well known period known as meltwater pulse 1A, when global sea levels rose by about 4 metres a century over a period of 350 years, dramatically re-drawing world coastlines.

“The highest flux (of ice loss) occurred 14,600 years ago, providing the first direct evidence for an Antarctic contribution to meltwater pulse 1A,” said the study authors in their paper, “Millennial-scale variability in Antarctic ice-sheet discharge during the last deglaciation”.

Future danger?

In the past 20,000 years, global sea levels have risen by about 130 metres, the majority of which was caused by the collapse of massive ice sheets in the northern hemisphere.

Most of those ice sheets over northern Europe and America have now disappeared, but massive Antarctic ice sheets remain, containing ice equivalent to about 70 metres of sea level rise.

Present concerns about climate change have increased a scientific imperative to understand the historical stability of Antarctic ice.

Antarctica last year lost about 160 billion tonnes of ice to the ocean, compared with about 30 billion tonnes per year in the period 1992-2001, according to a study published earlier this month in the journal Geophysical Research Letters.

Much of that rapid acceleration is explained by what scientists now describe as the irreversible collapse into the sea of glaciers in sunken, submarine valleys in West Antarctica.

Ice age

The world is presently still in an ice age, characterised by large ice sheets over Greenland and the Antarctic.

Next to the entry, the page also holds data records
[1]
YRe2O8: computed powder X-ray diffraction pattern (copper Kα), based on the GGA-PBE geometry in Alexandria.
Kinematic intensities with the Lorentz-polarization factor, no thermal factor.

The 12 most intense peaks (15° ≤ 2θ ≤ 90°), low angle first:
| 2theta | d [Å] | Rel. int. |
| --- | --- | --- |
| 16.03 | 5.530 | 167 |
| 18.53 | 4.789 | 502 |
| 26.32 | 3.386 | 1000 |
| 32.38 | 2.765 | 139 |
| 37.56 | 2.395 | 105 |
| 42.19 | 2.142 | 168 |
| 46.44 | 1.955 | 409 |
| 54.17 | 1.693 | 190 |
| 57.75 | 1.596 | 107 |
| 61.20 | 1.514 | 172 |
| 74.07 | 1.280 | 222 |
| 86.15 | 1.129 | 116 |

Structural model:
Lattice parameters (Å, degrees): 6.7729 6.7729 6.7729 60.00 60.00 60.00
Fractional coordinates of all 11 atoms:
Y: 0.0000 0.0000 0.0000
Re: 0.2500 0.2500 0.2500
Re: 0.7500 0.7500 0.7500
O: 0.1434 0.1434 0.1434
O: 0.1434 0.1434 0.5697
O: 0.1434 0.5697 0.1434
O: 0.4303 0.8566 0.8566
O: 0.5697 0.1434 0.1434
O: 0.8566 0.4303 0.8566
O: 0.8566 0.8566 0.4303
O: 0.8566 0.8566 0.8566

=====

[2]
Y2ReO5: computed powder X-ray diffraction pattern (copper Kα), based on the GGA-PBE geometry in Alexandria.
Kinematic intensities with the Lorentz-polarization factor, no thermal factor.

The 12 most intense peaks (15° ≤ 2θ ≤ 90°), low angle first:
| 2theta | d [Å] | Rel. int. |
| --- | --- | --- |
| 20.74 | 4.283 | 345 |
| 28.06 | 3.180 | 686 |
| 29.49 | 3.029 | 277 |
| 33.08 | 2.708 | 1000 |
| 34.76 | 2.581 | 128 |
| 39.38 | 2.288 | 194 |
| 47.47 | 1.915 | 282 |
| 49.96 | 1.826 | 125 |
| 53.51 | 1.713 | 143 |
| 53.82 | 1.703 | 137 |
| 54.64 | 1.680 | 213 |
| 63.32 | 1.469 | 154 |

Structural model:
Lattice parameters (Å, degrees): 8.5661 8.5661 5.7047 90.00 90.00 90.00
Fractional coordinates of all 32 atoms:
Y: 0.1000 0.8901 0.2501
Y: 0.1099 0.6000 0.7499
Y: 0.3901 0.9000 0.7499
Y: 0.4000 0.6099 0.2501
Y: 0.6000 0.3901 0.7499
Y: 0.6099 0.1000 0.2501
Y: 0.8901 0.4000 0.2501
Y: 0.9000 0.1099 0.7499
Re: 0.2500 0.2500 0.1450
Re: 0.2500 0.2500 0.5412
Re: 0.7500 0.7500 0.4588
Re: 0.7500 0.7500 0.8550
O: 0.0477 0.3441 0.6003
O: 0.0491 0.1525 0.0940
O: 0.1525 0.4509 0.0940
O: 0.1559 0.0477 0.6003
O: 0.2500 0.7500 0.0000
O: 0.2500 0.7500 0.5000
O: 0.3441 0.4523 0.6003
O: 0.3475 0.0491 0.0940
O: 0.4509 0.3475 0.0940
O: 0.4523 0.1559 0.6003
O: 0.5477 0.8441 0.3997
O: 0.5491 0.6525 0.9060
O: 0.6525 0.9509 0.9060
O: 0.6559 0.5477 0.3997
O: 0.7500 0.2500 0.0000
O: 0.7500 0.2500 0.5000
O: 0.8441 0.9523 0.3997
O: 0.8475 0.5491 0.9060
O: 0.9509 0.8475 0.9060
O: 0.9523 0.6559 0.3997

=====

[3]
Yb5Re2O12: computed powder X-ray diffraction pattern (copper Kα), based on the GGA-PBE geometry in Alexandria.
Kinematic intensities with the Lorentz-polarization factor, no thermal factor.

The 12 most intense peaks (15° ≤ 2θ ≤ 90°), low angle first:
| 2theta | d [Å] | Rel. int. |
| --- | --- | --- |
| 22.17 | 4.010 | 201 |
| 24.42 | 3.646 | 214 |
| 27.46 | 3.248 | 991 |
| 27.96 | 3.191 | 1000 |
| 32.55 | 2.751 | 403 |
| 32.70 | 2.738 | 375 |
| 33.44 | 2.680 | 304 |

However, it is in a warm phase known as an interglacial which started around 12,000 years ago.

In the latest study, scientists analysed dust on the sea bed of the southern Atlantic Ocean, deposited there by melting icebergs between 20,000 and 9,000 years ago.

As ice sheets collapse into the sea they produce, or calve, icebergs which are then swept along ocean currents before eventually melting.

┌──
For Ta3O7F, a GGA-PBE-relaxed structure gives the theoretical X-ray diffraction stick pattern in this record (λ = 1.5418 Å (Cu Kα)).
Peak positions follow from Bragg's law for the DFT cell and can differ from measured ones.

Peak list (10 most intense, 2θ from 15° to 90°, in order of rising 2θ)
- 2θ 22.57, I = 1000
- 2θ 26.63, I = 641
- 2θ 28.91, I = 926
- 2θ 35.19, I = 406
- 2θ 36.99, I = 656
- 2θ 46.09, I = 206
- 2θ 48.46, I = 288
- 2θ 54.06, I = 490
- 2θ 55.32, I = 306
- 2θ 69.10, I = 192

a = 6.2020 Å, b = 6.2020 Å, c = 3.9389 Å
α = 90.00°, β = 90.00°, γ = 114.68°
Positions (direct):
Ta1 0.0000 0.0000 0.0000
Ta2 0.3163 0.6837 0.0000
Ta3 0.6837 0.3163 0.0000
O1 0.0485 0.3313 0.0000
O2 0.3011 0.6989 0.5000
O3 0.3313 0.0485 0.0000
O4 0.5000 0.5000 0.0000
O5 0.6687 0.9515 0.0000
O6 0.6989 0.3011 0.5000
O7 0.9515 0.6687 0.0000
F1 0.0000 0.0000 0.5000


For TaO2F, a GGA-PBE-relaxed structure gives the theoretical X-ray diffraction stick pattern in this record (λ = 1.5418 Å (Cu Kα)).
Peak positions follow from Bragg's law for the DFT cell and can differ from measured ones.

Peak list (10 most intense, 2θ from 15° to 90°, in order of rising 2θ)
- 2θ 22.33, I = 1000
- 2θ 22.88, I = 485
- 2θ 31.79, I = 267
- 2θ 32.19, I = 538
- 2θ 39.53, I = 192
- 2θ 45.57, I = 206
- 2θ 51.32, I = 210
- 2θ 51.59, I = 214
- 2θ 52.39, I = 197
- 2θ 56.88, I = 227

a = 3.9812 Å, b = 3.9812 Å, c = 7.7735 Å
α = 90.00°, β = 90.00°, γ = 90.00°
Positions (direct):
Ta1 0.0000 0.0000 0.0000
Ta2 0.0000 0.0000 0.5000
O1 0.0000 0.0000 0.2500
O2 0.0000 0.0000 0.7500
O3 0.0000 0.5000 0.0000
O4 0.5000 0.0000 0.5000
F1 0.0000 0.5000 0.5000
F2 0.5000 0.0000 0.0000


For TaTl2OF5, a GGA-PBE-relaxed structure gives the theoretical X-ray diffraction stick pattern in this record (λ = 1.5418 Å (Cu Kα)).
Peak positions follow from Bragg's law for the DFT cell and can differ from measured ones.

Peak list (10 most intense, 2θ from 15° to 90°, in order of rising 2θ)
- 2θ 17.28, I = 414
- 2θ 27.56, I = 1000
- 2θ 30.00, I = 384
- 2θ 34.96, I = 186
- 2θ 35.50, I = 180
- 2θ 42.95, I = 238
- 2θ 47.15, I = 223
- 2θ 51.79, I = 362
- 2θ 56.90, I = 181
- 2θ 59.02, I = 139

a = 6.5818 Å, b = 6.5818 Å, c = 6.5818 Å
α = 126.19°, β = 126.19°, γ = 79.57°
Positions (direct):
Ta1 0.0000 0.0000 0.0000
Tl1 0.2542 0.7542 0.5000
Tl2 0.7542 0.2542 0.5000
O1 0.1787 0.1787 0.0000
F1 0.2054 0.2054 0.4612
F2 0.2054 0.7442 0.0000
F3 0.7442 0.2054 0.0000
F4 0.7442 0.7442 0.5388
F5 0.7887 0.7887 0.0000


1.
The following is a simulated powder diffractogram of LiTm4Tl. It was derived from a DFT-relaxed cell (PBE, Alexandria), using a wavelength of 1.5418 Å.
Lines closer than 0.1° are merged.

Atomic structure:
Cell: 4.9859 4.9859 7.3872 Å, 90.00 90.00 90.00°
Space group P4/mmm (No. 123)
One atom of each set of equivalent atoms:
Li 0.0000 0.0000 0.0000
Tm 0.0000 0.5000 0.2438
Tl 0.5000 0.5000 0.5000

Peak list (10 most intense, 2θ from 5° to 70°, in order of rising 2θ)
- 2θ 17.79, intensity 13, (1 0 0)
└──
== The calculated crystals stop here ==

They contain dust collected by the original ice sheets and glaciers as they scraped along the bedrock of Antarctica. The dust sinks to the sea bed as the icebergs melt.

By analysing the dust, the scientists showed that the Antarctic ice sheet collapsed in eight bursts. By matching the dust with other records, they could date it precisely.

The biggest deposition was in the third burst, which started abruptly 15,000 years ago, reaching a peak in about four centuries, and coinciding with a previously understood period of rapid sea level rise 14,600 years ago when sea levels rose 14 metres in three and a half centuries.

The actual contribution towards that sea level rise of the Antarctic ice sheet, compared with other ice sheets in the northern hemisphere, is not well understood, nor the location where the Antarctic ice sheet disintegrated most quickly.

But the study suggests that Antarctica indeed made a contribution to sea level rise then, as it did in a previous interglacial period 125,000 years ago, when sea levels were up to 6 to 9 metres higher than presently.